Request Method :: POST
STAGING URL: To be shared by our organization.
PROD URL: To be shared by our organization.

Penny Drop API

End Point:/w1w2-payout/w1/beneverify

Standard Penny Drop API

End Point:/w1w2-payout/w1/v2/beneverify


Content-Type: application/JSON
header_secrets: To be shared during integration
pass_key: To be shared during integration


Request Body Parameters

Field Name Data Type Value Mandatory Length Description
beneName Field will accept free text.
Special characters will be allowed in this field.
M MinLength =1
This field beneName should be the beneficiary/receiver name.
beneAccountNo Field will accept free text.
Special characters not allowed in this field.
M MinLength =8
This field bank account number should be the beneficiary account number.
beneifsc Field will accept free text.
Special characters will be allowed in this field.
M MinLength =11
This field ifsc should be the beneficiary/receiver bank account’s ifsc code
benePhoneNo Field will accept only numeric values. M MinLength =10
This field phoneNo should be the beneficiary/receiver phone number.
beneBankName Field will accept free text. M N/A This field beneBankName should be a beneficiary bank name given by customer.
clientReferenceNo Field will accept free text.
Special characters not allowed in this field.
M MinLength =12
This field clientReferenceNo is Customer reference number given by customer.
latlong Field will accept free text. M MinLength =12
Lat longitude of the transaction initiator
pincode Field will accept only numeric values. M MaxLength=6 Pin code of the transaction initiator.
custName Field will accept free text.
Special characters will be allowed in this field.
M MaxLength=35 Name of the customer
custIpAddress Field will accept free text. (IP) M N/A Customer IP address given by the customer
custMobNo Field will accept only numeric values. M MinLength =10
Mobile Number of customer
paramA Field will accept free text. O N/A Further Use
paramB Field will accept free text. O N/A Further Use


Note: The above details are only for the testing environment.
Mode of Pay: IMPS

Sample Request and Response

Request Body

"beneName": "ISERVEU",
"beneAccountNo": "3691050001456",
"beneifsc": "ICIC0003691",
"benePhoneNo": 7381279966,
"beneBankName": "ICICI",
"clientReferenceNo": "90987553129RAJ12",
"pincode": 751024,
"custName":"Priya Saumya",
"custMobNo": 9821361067,
"custIpAddress": "",
"latlong": "22.8031731,88.7874172",
"paramA": "",
"paramB": ""

Response Body Parameters

Field Name Data Type Description
status Field will accept free text. This field displays the actual status of a transaction. (Possible status -SUCCESS, FAILED, INPROGRESS, REFUNDED)
subStatus Field will accept only numeric values
No special characters will be allowed
This field is the status code of a transaction. It will be a success - 0, inprogress – 1, failed - -1,Refunded- 2, failed error case - -2.
statusDesc Field will accept free text This field is the transaction message of a transaction.
rrn Field will accept only numeric values
No special characters will be allowed
This is a unique number generated by the bank/NPCI for each transaction, the customer can inquiry the transaction using this number or reference No generated by Corporate
transactionId The field will accept only numeric values This field contains the unique id for a transaction and 12 to 15 digits
beneName The field will accept free text. This field bene name is the beneficiary name.
beneAccountNo The field will accept free text. This field bank account number is the transacted beneficiary account number.
beneBankName The field will accept free text. This field is the beneficiary bank name.
beneifsc The field will accept free text. This field bene ifsc is the beneficiary bank ifsc code.
benePhoneNo The field will accept free text. In success & inprogress cases, we will get the bank reference number (rrn). Or else we won’t get the rrn
clientReferenceNo The field will accept free text. Customer Reference number shared by the customer during transaction initiation.
latlong The field will accept free text. Latitude longitude of the transaction initiator
Eg- 22.8031731,88.7874172
This field is the date field where we show the transaction date. (09-23-2022 05:03:20)
pincode The field will accept only numeric values Pin code of the transaction initiator
custName The Field will accept free text. Name of the customer
custMobNo The Field will accept only numeric values Mobile number of the customer
custIpAddress The Field will accept free text. This field is the customer’s IP address.
date The Field will accept free text. Date time of the transaction in mm-dd-yyyy hh:mm:ss
(eg- 09-23-2022 05:03:20)
paramA The Field will accept free text. For Future Use
paramB The Field will accept free text. For Future Use


Success Request & Response Samples


Sample Request 1:

**Misplaced records of crystals**
____________
## Na3YC3O9 (r²SCAN)

Data for a geometry-optimized Na3YC3O9 structure.

Lattice parameters (Å, degrees): 6.4582 6.4582 9.8468 90.00 90.00 114.26
Closest atoms and distances in Å follow each position.
Atoms (fractional coordinates):
Na: 0.4040 0.3670 0.2500  6 O 2.26-2.40
Na: 0.3670 0.4040 0.7500  6 O 2.26-2.40
Na: 0.7983 0.2048 0.2500  7 O 2.34-2.61
Na: 0.2048 0.7983 0.7500  7 O 2.34-2.61
Na: 0.0712 0.0712 0.0000  8 O 2.34-2.58
Na: 0.0712 0.0712 0.5000  8 O 2.34-2.58
Y: 0.2272 0.7716 0.2500  9 O 2.35-2.46
Y: 0.7716 0.2272 0.7500  9 O 2.35-2.46
C: 0.7853 0.7604 0.2500  3 O 1.28-1.31
C: 0.7604 0.7853 0.7500  3 O 1.28-1.31
C: 0.1194 0.5333 0.0013  3 O 1.28-1.30
C: 0.5333 0.1194 0.9987  3 O 1.28-1.30
C: 0.1194 0.5333 0.4987  3 O 1.28-1.30
C: 0.5333 0.1194 0.5013  3 O 1.28-1.30
O: 0.5897 0.7667 0.2500  1 C 1.28
O: 0.7667 0.5897 0.7500  1 C 1.28
O: 0.8097 0.5726 0.2500  1 C 1.29
O: 0.5726 0.8097 0.7500  1 C 1.29
O: 0.1049 0.7245 0.0130  1 C 1.28
O: 0.7245 0.1049 0.9870  1 C 1.28
O: 0.1049 0.7245 0.4870  1 C 1.28
O: 0.7245 0.1049 0.5130  1 C 1.28
O: 0.9711 0.9491 0.2500  1 C 1.31
O: 0.9491 0.9711 0.7500  1 C 1.31
O: 0.4345 0.0990 0.1145  1 C 1.29
O: 0.0990 0.4345 0.8855  1 C 1.29
O: 0.4345 0.0990 0.3855  1 C 1.29
O: 0.0990 0.4345 0.6145  1 C 1.29
O: 0.1616 0.4438 0.1102  1 C 1.30
O: 0.4438 0.1616 0.8898  1 C 1.30
O: 0.1616 0.4438 0.3898  1 C 1.30
O: 0.4438 0.1616 0.6102  1 C 1.30

Output
* mass density: 3.0 g/cm3
* formation energy: -2149 meV/atom

----------

! LiNiPO4 | the Materials Project | PBE with a Hubbard U | relaxed; values from VASP
&SYSTEM
  ibrav = 0, nat = 28, ntyp = 4
/
ATOMIC_SPECIES
Li 6.94 Li.upf
Ni 58.69 Ni.upf
P 30.97 P.upf
O 16.00 O.upf
CELL_PARAMETERS angstrom
4.732 0.000 0.000
0.000 5.927 0.000
0.000 0.000 10.144
ATOMIC_POSITIONS angstrom
Li 0.009 1.479 2.525
Li 2.358 4.448 7.597
Li 2.375 1.484 7.619
Li 4.724 4.442 2.547
Ni 0.087 2.968 9.883
Ni 2.279 2.959 4.811
Ni 2.453 5.922 0.261
Ni 4.645 0.005 5.333
P 0.394 0.006 8.564
P 1.972 5.920 3.492
P 2.760 2.957 1.580
P 4.338 2.970 6.652
O 0.951 0.007 7.112
O 1.062 4.703 9.287
O 1.065 1.235 9.286
O 1.140 2.969 6.596
O 1.226 2.958 1.524
O 1.301 4.692 4.214
O 1.304 1.224 4.215
O 1.415 5.920 2.040
O 3.317 2.956 3.032
O 3.428 4.187 0.857
O 3.431 1.729 0.858
O 3.506 5.921 3.548
O 3.592 0.005 8.620
O 3.667 4.198 5.930
O 3.670 1.740 5.929
O 3.781 2.970 8.104
! **Electronic total energy**: -6.31 eV per atom
! **Energy with MP2020 corrections**: -0.51923 Ry/atom
! **Calculated formation energy**: -2365.4 meV/atom
! **V**: 284 Å³ per cell
! **Distance to the lowest polymorph of the same formula**: 0.0 meV/atom


! Li3Ni2P3O12 | the Materials Project | PBE with a Hubbard U | relaxed; values from VASP
&SYSTEM
  ibrav = 0, nat = 80, ntyp = 4
/
ATOMIC_SPECIES
Li 6.94 Li.upf
Ni 58.69 Ni.upf
P 30.97 P.upf
O 16.00 O.upf
CELL_PARAMETERS angstrom
7.182 -6.598 0.000
7.182 6.598 0.000
-0.951 0.000 9.650
ATOMIC_POSITIONS angstrom
Li 1.622 0.000 0.177
Li 4.927 2.686 3.843
Li 3.476 0.723 2.343
____________


"beneName": "ISERVEU",
"beneAccountNo": "3691050001456",
"beneifsc": "ICIC0003691",
"benePhoneNo": 7381279966,
"beneBankName": "ICICI",
"clientReferenceNo": "90987553129RAJ12",
"pincode": 751024,
"custName":"Priya Saumya",
"custMobNo": 9821361067,
"custIpAddress": "",
"latlong": "22.8031731,88.7874172",
"paramA": "",
"paramB": ""


"status": "SUCCESS",
"subStatus": 0,
"statusDesc": "CO00 - Transaction is Successful.",
"rrn": "2234543565",
"transactionId": 102283304115791,
"beneName": "ISERVEU",
"beneAccountNo": "3691050001456",
"beneifsc": " ICIC0003691",
"benePhoneNo": 7381279966,
"beneBankName": "ICICI",
"clientReferenceNo": "22345231232231"
"latlong": "22.8031731,88.7874172",
"custName:"Pariya Saumya",
"dateTime": "09-23-2022 05:03:20",
"paramA": "",
"paramB": ""


Sample Request 2:


"beneName": "ISERVEU",
"beneAccountNo": "3691050001456",
"beneifsc": "ICIC0003691",
"benePhoneNo": 7381279966,
"beneBankName": "ICICI",
"clientReferenceNo": "90987553129RAJ12",
"pincode": 751024,
"custName":"Priya Saumya",
"custMobNo": 9821361067,
"custIpAddress": "",
"latlong": "22.8031731,88.7874172",
"paramA": "",
"paramB": ""


"status": "INPROGRESS",
"subStatus": 1,
"statusDesc": "CO03 - Please Wait while your transaction is processing.",
"rrn": "2234543565",
"transactionId": 102283304115791,
"beneName": "ISERVEU",
"beneAccountNo": "3691050001456",
"beneifsc": " ICIC0003691",
"benePhoneNo": 7381279966,
"beneBankName": "ICICI",
"clientReferenceNo": "22345231232231"
"latlong": "22.8031731,88.7874172",
"custName:"Priya Saumya",
"dateTime": "09-23-2022 05:03:20",
"paramA": "",
"paramB": ""


Failure Request & Response Samples


Sample Request 1:


"beneName": "ISERVEU",
"beneAccountNo": "3691050001456",
"beneifsc": "ICIC0003691",
"benePhoneNo": 7381279966,
"beneBankName": "ICICI",
"clientReferenceNo": "90987553129RAJ12",
"pincode": 751024,
"custName": "Rajesh Nayak",
"custMobNo": 9821361067,
"custIpAddress": "",
"latlong": "22.8031731,88.7874172",
"paramA": "",
"paramB": ""


"status": "FAILED",
"subStatus": -1,
"statusDesc": "CO04 - Transaction Failed",
"beneName": "ISERVEU",
"beneAccountNo": "369105000110",
"beneifsc": "ICIC0003691",
"benePhoneNo": 7381279966,
"beneBankName": "ICICI",
"clientReferenceNo": "90987553129RAJ12",
"latlong": "22.8031731,88.7874172",
"pincode": 751024,
"custName": "Rajesh Nayak",
"custMobNo": 9821361067,
"rrn": "",
"paramA": "",
"paramB": "",
"dateTime": "08-18-2023 04:15:54"


Sample Request 2:


"beneName": "ISERVEU",
"beneAccountNo": "369105000110",
"beneifsc": "ICIC0003691",
"benePhoneNo": 7381279966,
"beneBankName": "ICICI",
"clientReferenceNo": "90987553129RAJESH13",
"pincode": 751024,
"custName": "Rajesh Nayak",
"custMobNo": 9821361067,
"custIpAddress": "",
"latlong": "22.8031731,88.7874172",
"paramA": "",
"paramB": ""


"transactionId": 746416336366379,
"subStatus": 2,
"status": "FAILED",
"statusDesc": "COERR29 - Wallet Operation Failed - apibalance not available",
"beneName": "ISERVEU",
"beneAccountNo": "369105000110",
"beneifsc": "ICIC0003691",
"benePhoneNo": 7381279966,
"beneBankName": "ICICI",
"clientReferenceNo": "90987553129RAJESH13",
"latlong": "22.8031731,88.7874172",
"pincode": 751024,
"custName": "Rajesh Nayak",
"custMobNo": 9821361067,
"rrn": "",
"paramA": "",
"paramB": "",
"dateTime": "08-18-2023 04:15:54"


Sample Request 3:


"beneName": "ISERVEU",
"beneAccountNo": "369105000110",
"beneifsc": "ICIC0003691",
"benePhoneNo": 7381279966,
"beneBankName": "ICICI",
"clientReferenceNo": "22345231232231",
"pincode": 751024,
"custName": "Priya Saumya",
"custMobNo": 9821361067,
"custIpAddress": "",
"latlong": "22.8031731,88.7874172",
"paramA": "",
"paramB": ""


"subStatus": -3,
"status": "FAILED",
"statusDesc": "COERR41 - Duplicate Client Reference No, please try again!",
"transactionId": 0,
"clientReferenceNo": "90987553129RAJESH13",
"dateTime": "08-18-2023 05:28:17"


Sample Request Body (with encryption):



Sample Response Body (with encryption)





Response Codes

Status Status Code Description
FAILED -1 Failed from Bank
FAILED -2 Failed from IServeU
FAILED 2 Failed from Wallet Debit
FAILED -3 Failed due to Duplicate Client Reference number
INPROGRESS 1 Transaction In Progress
SUCCESS 0 Transaction success ( IMPS )